Edit MySpace.org - Designs free custom layouts for MySpace profiles. Users can select specific preferences or choose a premade template. - http://www.editmyspace.org/
Bubbler - Downloadable program for creating web pages. - http://www.bubbler.com/
Postcard Maker - Thousands of original images, custom layout and your greeting. - http://www.postcardmaker.com/
GIFWorks - Online GIF image editor. Resize, edit and optimize both static and animated GIFs. - http://www.gifworks.com/
3d Text Maker - Create 3D text, many options, fonts, and styles. - http://www.3dtextmaker.com/
Xara Online - Hosted modules which allow users to easily add graphics and dynamic functions to web sites. - http://www.xaraonline.com/
SCSWorld - Create Websites online without any knowledge of web design. - http://www.scsworld.co.uk
CreatingOnline - Online image editing and Web design tools/tips for beginners. Webmaster resources include free clipart and 3D Text Makers. - http://www.creatingonline.com/
Webmaster Toolkit - Online tools for webmasters and web designers. - http://www.webmaster-toolkit.com/
The Web Hut - Several free web site tools and code generators for webmasters. - http://www.webpage-tools.com/index.asp
Online HTML Colour X-Fader - Create color gradients in text and tables. FAQ, help pages, examples available. - http://www.vex.net/~x/xfade/
Web Builder Deluxe - A desktop database management tool with web publishing and web database management capabilities. - http://www.primasoft.com/deluxeprg/wbddx.htm
Download Time Calculator - Calculate the time it takes to download a file. - http://download.stormloader.com/
Move Announcer - A service to notify webmasters that your web site has moved to a new URL or domain so they can update links to your site. - http://www.moveannouncer.com
Web Animator - A tool for adding animated effects to web pages which is easy to use, and completely free. - http://www.pcoward.com/webanimator/
Site Valet - Site Valet offers a website monitoring service, as well as an assortment of other tools. - http://valet.htmlhelp.com/
Peluang - Malay-focused online tools and useful links. - http://www.sabah.net.my/mybiz/peluang/index.html
Bellsnwhistles.com - Free animated graphics, java applets, javascripts, DHTML, hard to find HTML, Counters, Web Editors, Banners. - http://www.bellsnwhistles.com/
MenuGen - Generate javascript code that changes values in one select box based on a choice in a previous select box. - http://www.supertom.com/menugen/
Chami.com - Get server information with this form. - http://www.chami.com/tips/internet/051998I.html
== Attached: data records ==
........
1.
For YFe4Co, a PBE-relaxed structure gives the theoretical powder XRD pattern in this record (copper Kα).
No peak broadening, texture or thermal motion is included.

Structure:
```
6
Lattice="0.0000 3.4930 3.4930 3.4930 0.0000 3.4930 3.4930 3.4930 0.0000" Properties=species:S:1:pos:R:3 pbc="T T T"
Y 0.0000 0.0000 0.0000
Fe 2.6249 2.6249 2.6249
Fe 4.3610 4.3610 2.6249
Fe 4.3610 2.6249 4.3610
Fe 2.6249 4.3610 4.3610
Co 5.2394 5.2394 5.2394
```

Most intense lines, 10 to 90 degrees two-theta, low angle first:
2θ = 22.04°, I 2; 2θ = 25.50°, I 2; 2θ = 36.37°, I 37; 2θ = 42.94°, I 100; 2θ = 44.95°, I 32; 2θ = 52.39°, I 2; 2θ = 65.45°, I 12; 2θ = 69.98°, I 28; 2θ = 77.25°, I 23; 2θ = 88.52°, I 5

---

2.
For NpScHg, a PBE-relaxed structure gives the theoretical powder XRD pattern in this record (copper Kα).
No peak broadening, texture or thermal motion is included.

Structure:
```
12
Lattice="4.8295 0.0000 0.0000 0.0000 5.0627 0.0000 0.0000 0.0000 10.5112" Properties=species:S:1:pos:R:3 pbc="T T T"
Np 0.0000 0.0000 0.0000
Np 0.0000 2.5313 0.0000
Np 2.4148 0.0000 0.0000
Np 2.4148 2.5313 0.0000
Sc 0.0000 1.2657 2.5580
Sc 0.0000 3.7970 7.9532
Sc 2.4148 1.2657 7.9532
Sc 2.4148 3.7970 2.5580
Hg 0.0000 1.2657 6.2344
Hg 0.0000 3.7970 4.2768
Hg 2.4148 1.2657 4.2768
Hg 2.4148 3.7970 6.2344
```

Most intense lines, 10 to 90 degrees two-theta, low angle first:
2θ = 16.87°, I 100; 2θ = 25.42°, I 39; 2θ = 30.72°, I 50; 2θ = 36.31°, I 54; 2θ = 36.51°, I 71; 2θ = 37.24°, I 49; 2θ = 41.14°, I 23; 2θ = 43.04°, I 38; 2θ = 53.14°, I 50; 2θ = 58.18°, I 23

---

3.
For LaTaOs, a PBE-relaxed structure gives the theoretical powder XRD pattern in this record (copper Kα).
No peak broadening, texture or thermal motion is included.

Structure:
```
6
Lattice="5.1723 0.0000 0.0000 0.0000 4.9112 0.0000 -1.4595 0.0000 5.7378" Properties=species:S:1:pos:R:3 pbc="T T T"
La 0.5764 1.2278 2.4612
La 3.1364 3.6834 3.2767
Ta 0.3099 3.6834 5.6715
Ta 3.4029 1.2278 0.0664
Os -0.6035 1.2278 5.2687
Os 4.3163 3.6834 0.4692
```

Most intense lines, 10 to 90 degrees two-theta, low angle first:
2θ = 15.44°, I 100; 2θ = 31.18°, I 52; 2θ = 31.89°, I 29; 2θ = 32.12°, I 31; 2θ = 36.26°, I 31; 2θ = 36.59°, I 66; 2θ = 39.91°, I 31; 2θ = 39.99°, I 46; 2θ = 40.40°, I 56; 2θ = 48.82°, I 30

---

4.
For La2C3, a PBE-relaxed structure gives the theoretical powder XRD pattern in this record (copper Kα).
No peak broadening, texture or thermal motion is included.

Structure:
```
20
Lattice="-4.4087 4.4087 4.4087 4.4087 -4.4087 4.4087 4.4087 4.4087 -4.4087" Properties=species:S:1:pos:R:3 pbc="T T T"
La 2.6657 1.7430 -1.7430
La 4.8701 -0.4614 0.4614
La 1.7430 -1.7430 2.6657
La 1.7430 1.7430 1.7430
La -1.7430 2.6657 1.7430
La 0.4614 4.8701 -0.4614
La -0.4614 0.4614 4.8701
La 3.9473 3.9473 3.9473
C 4.4087 -2.2044 2.6415
C 4.4087 -2.2044 3.9716
C 2.6415 4.4087 -2.2044
C 3.9716 4.4087 -2.2044
C 4.4087 2.2044 0.4371
C 4.4087 2.2044 1.7672
C 2.2044 0.4371 4.4087
C 2.2044 1.7672 4.4087
C 0.4371 4.4087 2.2044
........
Submitcorner.com - Offers a suite of free online web tools. - http://www.submitcorner.com/Tools/
TextColorizer - Generates text that gradually shifts from one color to another, using standard HTML code. - http://www.chami.com/tc/
HomePage Tools - Free branded web tools for ecommerce, email, search, and interactive content. - http://www.homepagetools.com/